(Work order)
Could you duplicate only the lines further below with the word "composition" in them?

(Given)
********
Record 1
## FeP4O12 (GGA+U)

Data for FeP4O12 after structural relaxation.

a b c (Å): 5.2655 13.6046 7.4816
angles (deg): 90.00 98.66 90.00
Space group P2_1 (No. 4)
Asymmetric unit:
Fe1 0.0071 0.0000 0.0133 (multiplicity 2)
P1 0.2918 0.5848 0.3743 (multiplicity 2)
P2 0.3617 0.9406 0.3981 (multiplicity 2)
P3 0.4803 0.3630 0.9380 (multiplicity 2)
P4 0.4871 0.1384 0.9475 (multiplicity 2)
O1 0.1150 0.5129 0.2613 (multiplicity 2)
O2 0.1332 0.9845 0.2778 (multiplicity 2)
O3 0.1468 0.6724 0.4311 (multiplicity 2)
O4 0.2146 0.3781 0.9843 (multiplicity 2)
O5 0.2213 0.1234 0.9919 (multiplicity 2)
O6 0.2937 0.5827 0.9460 (multiplicity 2)
O7 0.3037 0.9220 0.9605 (multiplicity 2)
O8 0.3274 0.8842 0.5632 (multiplicity 2)
O9 0.4364 0.7511 0.0314 (multiplicity 2)
O10 0.4425 0.5327 0.5471 (multiplicity 2)
O11 0.4694 0.3762 0.7234 (multiplicity 2)
O12 0.4785 0.1180 0.7330 (multiplicity 2)

E_form = -2.344 eV/atom
M_tot = 0.353 μB/atom
Energy relative to the lowest polymorph listed for this composition = 0.007 eV per atom
E = -6.991 eV per atom
Corrected total energy (MP2020 scheme) = -7.61 eV/atom

Record 2
## Li5Mn2P2C2O14 (GGA+U)

Data for Li5Mn2P2C2O14 after structural relaxation.

a b c (Å): 5.0932 6.5015 16.9427
angles (deg): 90.00 94.52 90.00
Space group P2_1/m (No. 11)
Asymmetric unit:
Li1 0.2401 0.2500 0.2991 (multiplicity 2)
Li2 0.2497 0.5014 0.6252 (multiplicity 4)
Li3 0.2522 0.5283 0.1181 (multiplicity 4)
Mn1 0.2060 0.7500 0.9217 (multiplicity 2)
Mn2 0.2244 0.7500 0.4202 (multiplicity 2)
P1 0.2730 0.2500 0.9582 (multiplicity 2)
P2 0.2786 0.2500 0.4590 (multiplicity 2)
C1 0.2883 0.7500 0.7682 (multiplicity 2)
C2 0.3011 0.7500 0.2732 (multiplicity 2)
O1 0.0442 0.7500 0.7822 (multiplicity 2)
O2 0.0707 0.7500 0.3031 (multiplicity 2)
O3 0.1592 0.0600 0.9125 (multiplicity 4)
O4 0.1750 0.2500 0.5419 (multiplicity 2)
O5 0.1795 0.0648 0.4070 (multiplicity 4)
O6 0.1903 0.2500 0.0451 (multiplicity 2)
O7 0.3219 0.7500 0.1996 (multiplicity 2)
O8 0.3634 0.7500 0.6960 (multiplicity 2)
O9 0.4133 0.7500 0.5312 (multiplicity 2)
O10 0.4187 0.7500 0.0375 (multiplicity 2)
O11 0.4680 0.7500 0.8278 (multiplicity 2)
O12 0.4959 0.2500 0.6737 (multiplicity 2)

E_form = -2.369 eV/atom
M_tot = 0.360 μB/atom
Energy relative to the lowest polymorph listed for this composition = 0.009 eV per atom
E = -6.908 eV per atom
Corrected total energy (MP2020 scheme) = -7.43 eV/atom

Record 3
## Li2Ni3SbO8 (GGA+U)

Data for Li2Ni3SbO8 after structural relaxation.

a b c (Å): 8.3609 8.3609 8.3609
angles (deg): 90.00 90.00 90.00
Space group P4_332 (No. 212)
Asymmetric unit:
Li1 0.0013 0.4987 0.5013 (multiplicity 8)
Ni1 0.1225 0.1275 0.6250 (multiplicity 12)
Sb1 0.1250 0.8750 0.3750 (multiplicity 4)
O1 0.1063 0.1150 0.3799 (multiplicity 24)
O2 0.1090 0.6090 0.8910 (multiplicity 8)

E_form = -1.533 eV/atom
M_tot = 0.214 μB/atom
Energy relative to the lowest polymorph listed for this composition = 0.021 eV per atom
E = -5.229 eV per atom
Corrected total energy (MP2020 scheme) = -6.17 eV/atom

Record 4
## Li3TiFe4O8 (GGA+U)

Data for Li3TiFe4O8 after structural relaxation.

a b c (Å): 10.3807 6.1011 6.0623
angles (deg): 90.00 125.66 90.00
Space group C2/m (No. 12)
Asymmetric unit:
Li1 0.0000 0.0000 0.0000 (multiplicity 2)
Li2 0.2500 0.2500 0.5000 (multiplicity 4)
Ti1 0.0000 0.5000 0.5000 (multiplicity 2)
Fe1 0.0000 0.0000 0.5000 (multiplicity 2)
Fe2 0.0000 0.5000 0.0000 (multiplicity 2)
Fe3 0.2500 0.2500 0.0000 (multiplicity 4)
O1 0.0049 0.2721 0.2610 (multiplicity 8)
O2 0.2333 0.5000 0.7443 (multiplicity 4)
O3 0.2453 0.5000 0.2457 (multiplicity 4)

E_form = -2.115 eV/atom
M_tot = 1.063 μB/atom
E = -6.651 eV per atom
Corrected total energy (MP2020 scheme) = -7.56 eV/atom

Record 5
## Li2VF6 (GGA+U)

Data for Li2VF6 after structural relaxation.

a b c (Å): 15.2099 8.7087 4.5302
angles (deg): 90.00 90.38 90.00
Space group C2 (No. 5)
Asymmetric unit:
Li1 0.0000 0.0000 0.0000 (multiplicity 2)
Li2 0.0000 0.3101 0.0000 (multiplicity 2)
Li3 0.1723 0.4848 0.0018 (multiplicity 4)
********

(Completed)
Energy relative to the lowest polymorph listed for this composition = 0.007 eV per atom
Energy relative to the lowest polymorph listed for this composition = 0.009 eV per atom
Energy relative to the lowest polymorph listed for this composition = 0.021 eV per atom